Triton Benefits and HR Solutions CEO Steve Rosenthal discusses open enrollment and benefits in Webinar hosted by EBN

Steve Rosenthal, Chief Executive Officer & President of Triton Benefits and HR Solutions, is one of the most widely recognized leaders in the employee benefits and HR space. On Nov. 21st, 2019, Rosenthal participated in a webinar: Conducting a Benefits Open Enrollment Audit, brought to you by Employee Benefits Advisor, Sponsored content from ADP.

As an employer, there are several trends you should be aware of as you prepare for next year's open enrollment period. Also, with the accessibility of new technologies, there are more ways to help your employees through the process. First, let's look at some important data that provides a glimpse into the current state of U.S. employers' relationship to open enrollment and employment benefits in general.

The Open Enrollment Readiness Benchmark (OERB)

The OERB is used to measure a company's readiness for annual employment benefits enrollment. Every month, over 400 benefits executives from various organizations and industries are surveyed by SourceMedia Research. The participants are asked to rate their completion levels (on a scale of zero to 100) for a number of activities related to open enrollment, including deciding on health plans and reviewing enrollment metrics. 

From the most recent survey, averages show that most employers have a desire to improve their health insurance packages more than any other employment benefit. Also, many companies want to start providing less traditional benefits, such as student loan assistance, wellness incentive programs and identity theft protection. When it comes to communicating with their employees about open enrollment, the vast majority of mangers prefer email.

Here are some opinions that Rosenthal shared in the webinar regarding benefits and open enrollment:

New technologies make monitoring enrollment easier

The implementation of digital platforms has made the open enrollment process much more efficient. Employees no longer have to send their information through the mail to get started. Instead, they can sign up for plans and access information about their benefits by simply logging onto their computer. For employers, tracking an employee's enrollment status is easier now than it's ever been before.

"With good technology you can see who's already enrolled, who's in the middle of enrolling and who's finalized," Rosenthal explained in the webinar. 

Digital technology has helped employers better communicate with their employees during open enrollment as well. 

Consistent and personalized communication is key

During the webinar, Rosenthal and the other specialists agreed that good communication with employees is a key part of optimizing your open enrollment process. It's important to send your employees reminders to make sure that they don't miss out on enrolling. Again, email is the easiest and most popular way to do this.

**Between two parts of the entry: data records**
********
Molecular formula: C8H16CaO20PS4
Method: DFT, ωB97M-V/def2-TZVPD

CARTESIAN COORDINATES (ANGSTROEM)
Ca1 -0.85666 -28.45916 9.16413
P1 -2.84534 -26.92453 9.41885
O1 -3.94013 -25.83355 9.71172
O2 -3.04995 -28.38693 8.90855
O3 -1.89086 -27.00696 10.57494
O4 -1.67571 -26.56515 8.41634
C1 -1.03146 -33.76050 9.68870
C2 0.02987 -33.68156 10.88988
O5 -0.34364 -32.64840 11.73192
S1 -1.60766 -31.75014 11.26774
O6 -1.20033 -30.52694 10.62069
O7 -2.55582 -31.73567 12.36982
O8 -2.07021 -32.98317 10.16639
H1 -1.24696 -34.73221 9.24434
H2 -0.61461 -33.04527 8.97965
H3 0.95362 -33.30654 10.44926
H4 0.24027 -34.60109 11.43604
C3 2.83566 -29.98300 13.00663
C4 4.05566 -30.05124 12.03818
O9 3.63256 -29.39165 10.87607
S2 2.44976 -28.24664 11.17596
O10 1.60060 -28.13467 10.00013
O11 2.92704 -27.01078 11.82041
O12 1.79943 -29.25843 12.31258
H5 3.16347 -29.51936 13.93705
H6 2.44931 -30.97701 13.23196
H7 4.19581 -31.08886 11.73515
H8 4.95505 -29.70541 12.54768
C5 0.99167 -28.97476 3.45583
C6 0.89083 -30.36271 4.03257
O13 1.11315 -30.29715 5.41462
S3 1.79621 -28.81733 5.84670
O14 3.22324 -28.92562 5.71990
O15 1.16616 -28.41871 7.14247
O16 1.02132 -28.08147 4.52843
H9 0.11626 -28.62544 2.90835
H10 1.87351 -28.79473 2.84097
H11 1.64303 -31.04045 3.62890
H12 -0.10534 -30.77659 3.87617
C7 -3.67070 -33.17182 6.92257
C8 -4.60321 -31.98645 7.23039
O17 -3.74457 -30.88838 7.78060
S4 -2.27864 -31.06399 6.97477
O18 -1.09653 -30.45173 7.62562
O19 -2.38977 -30.98913 5.49363
O20 -2.35977 -32.68248 7.24689
H13 -3.55383 -33.36277 5.85581
H14 -3.91598 -34.09679 7.44446
H15 -5.33939 -32.21981 7.99960
H16 -5.15267 -31.59827 6.37276

The max |F| comes out at 7.0 eV/A. The value obtained for the HOMO energy (spin up / spin down) is -7.71 / -7.54 eV. The spin multiplicity is 2. Its expectation value of S² is 0.760.

~~~~~

C25H28N6PRbSTe as an isolated structure, computed with wB97M-V/def2-TZVPD.

Energy relative to the best compared isomer or geometry (same formula, charge and spin) (kcal per mole): 4.1
Orbital gap (eV): 7.589
Maximum force (hartree/bohr): 0.0189
HOMO level (eV): -7.82
E_LUMO (eV): -0.23

Each line ends with the Mulliken charge.
CARTESIAN COORDINATES (ANGSTROEM)
Rb: -0.63281 -0.21292 -0.76001  0.660
N: 2.84898 -0.23342 -0.20906  -0.207
C: 3.61114 -1.42204 -0.19471  0.584
C: 4.99151 -1.35294 -0.40116  -0.643
C: 5.75792 -2.50308 -0.42938  -0.608
C: 5.16740 -3.74880 -0.23574  -0.870
C: 3.79972 -3.81429 -0.04017  0.083
C: 3.00120 -2.66971 -0.03547  0.160
P: 1.17371 -2.77563 0.07976  -0.007
C: 0.79433 -3.84323 -1.35496  0.500
C: 1.57059 -3.81722 -2.51471  -0.498
C: 1.17684 -4.53698 -3.63709  -0.661
C: 0.01226 -5.29294 -3.60971  -0.482
C: -0.76643 -5.32584 -2.45892  -0.733
C: -0.37933 -4.59511 -1.34408  -0.849
C: 0.92204 -3.84602 1.54553  0.628
C: 0.95946 -5.23852 1.52584  0.048
C: 0.79963 -5.96420 2.69893  -0.855
C: 0.60499 -5.30658 3.90681  -0.449
C: 0.55501 -3.91970 3.93746  -0.654
C: 0.69924 -3.19768 2.75977  -0.447
H: 3.41267 0.60069 -0.26931  0.214
********

As some workers receive hundreds of emails a day, it's possible that your enrollment messages can go unopened and/or get marked as spam. One way to avoid this is by personalizing every message. Make sure to use the employee's name in the email subject line and include information that's relevant to them, such as details about their current plan or specific factors to consider when picking a plan.

In addition, Rosenthal recommends multiple touchpoints and a call-to-action at the end of each message. For example, you could send your un-enrolled employees emails once a week that include personalized messages and links that direct them to a webpage, where they can begin the sign-up process.

Millennials have different expectations for benefits

Health Savings Accounts (HSAs) are becoming increasingly popular among new businesses. Rosenthal, who believes that HSAs are "the way of the future," points out that since millennials are younger and healthier, they're more willing to accept higher deductibles in exchange for lower premiums and the ability to save their money wisely. He also states that "most millennials will expect to have the option to open an HSA when they come to work for you," which is something to keep in mind when you're putting together your health insurance packages, since millennials are gradually taking over the workforce.  

Interested in learning more about open enrollment and employment benefits? Connect with us at Triton today!